**Assignment:**
Repeat all of the lines further down word for word, please.
**Input:**
- - -
C13H23CrN2O2P | the ωB97M-V functional and the def2-TZVPD basis

The total charge is 0. The expectation value of S² is 6.0638. For the frontier orbital gap (spin up / spin down), the calculation gives 7.0 / 6.6 eV. The LUMO energy (spin up / spin down) comes out at -0.015 / -0.027 Ha. The multiplicity is 5. The energy above the lowest of the compared OMol25 structures with the same formula, charge and spin is 39.70 kcal per mole. The calculation puts the HOMO energy (spin up / spin down) at -7.38 / -7.39 eV.

```
42
C13H23CrN2O2P | OMol25 | the ωB97M-V functional and the def2-TZVPD basis
O -2.4281 -0.8876 1.4711
H 1.9271 -2.7171 -3.7815
C -1.4190 1.3920 -2.1954
H 2.8902 -2.0869 -0.9061
H 1.9589 2.9221 -2.6330
C -0.8998 2.6959 -1.6380
C 1.4444 -2.0708 -3.0334
Cr -1.1774 0.7832 0.7152
C -2.1416 1.4040 -3.3946
O -0.7437 -0.3468 2.7022
C -2.5455 0.1949 -3.9396
N 1.1620 -2.8173 -1.8475
C 1.2517 4.0211 -0.2240
H 0.5935 4.4669 0.5396
H -1.3379 -2.1393 -0.2765
H -2.3998 2.3621 -3.8651
H -0.3941 -3.9618 -2.4986
H -0.0813 -3.9956 -0.7501
H -0.6175 3.4433 -2.3928
H 1.1432 1.3381 -2.8189
C -0.1464 -3.3317 -1.6248
H -2.2357 -2.9641 -1.5473
H -3.1451 0.1816 -4.8490
H 0.5276 -1.6826 -3.4820
H 1.2784 4.6798 -1.1057
H 2.8050 -3.8505 -1.0206
C 2.2015 -2.9436 -0.8607
H -1.6053 3.1397 -0.9161
H 2.6175 1.4564 -1.8062
C -1.5433 -1.0122 -2.0520
H 0.6073 0.3472 0.7156
C -1.3474 -2.3377 -1.3496
H 2.1124 -1.2229 -2.8209
C -2.1903 -1.0067 -3.3206
N -1.7448 -1.0857 2.5228
H 0.6009 1.0235 1.1196
H 2.2717 3.9500 0.1870
C 1.7145 1.9741 -2.1385
P 0.6730 2.3466 -0.7031
C -1.2662 0.2242 -1.4286
H 1.7929 -3.0032 0.1642
H -2.4973 -1.9457 -3.7910
```

The net atomic charges from Mulliken, expressed in e, are:
1. O -0.49
2. H 0.32
3. C 0.99
4. H 0.28
5. H 0.35
6. C -1.44
7. C -0.75
8. Cr -0.10
9. C -0.96
10. O -0.52
11. C -0.53
12. N 0.32
13. C -1.20
14. H 0.32
15. H -0.06
16. H 0.41
17. H 0.33
18. H 0.54
19. H 0.45
20. H 0.29
21. C -1.23
22. H 0.44
23. H 0.37
24. H 0.24
25. H 0.36
26. H 0.29
27. C -0.98
28. H 0.42
29. H 0.38
30. C 0.48
31. H 0.00
32. C -0.38
33. H 0.12
34. C -0.48
35. N 0.44
36. H 0.15
37. H 0.37
38. C -1.20
39. P 0.67
40. C 0.23
41. H 0.32
42. H 0.43

* * * * *

ORCA calculation (ωB97M-V/def2-TZVPD) on C13H15BrN2O2 in the gas phase.

Last column: Mulliken charge in e.
Cartesian coordinates (Å):
Br 6.306 1.127 -3.858  -0.20
C 4.489 0.760 -3.426  0.13
C 3.532 0.802 -4.427  -0.48
C 2.220 0.533 -4.088  -0.73
C 1.860 0.229 -2.785  -0.45
C 2.832 0.187 -1.790  0.80
O 2.620 -0.117 -0.480  -0.42
C 1.315 -0.390 -0.028  -0.72
C 0.485 0.898 0.152  -0.42
O -0.900 0.659 0.189  -0.33
C -1.363 0.046 1.371  -0.16
C -2.897 0.070 1.334  -0.94
N -3.455 -0.603 2.470  0.22
C -3.660 -0.071 3.714  -0.20
C -4.130 -1.091 4.488  -0.48
N -4.210 -2.232 3.754  -0.64
C -3.798 -1.912 2.561  -0.01
C 4.161 0.459 -2.122  -0.56
H 3.809 1.040 -5.441  0.41
H 1.458 0.562 -4.852  0.36
H 0.823 0.030 -2.565  0.40
H 1.456 -0.895 0.931  0.38
H 0.789 -1.070 -0.709  0.40
H 0.817 1.427 1.056  0.32
H 0.642 1.552 -0.710  0.46
H -0.997 0.590 2.254  0.30
H -1.016 -0.996 1.441  0.31
H -3.237 1.109 1.314  0.29
H -3.232 -0.423 0.419  0.32
H -3.471 0.960 3.928  0.38
H -4.417 -1.079 5.520  0.40
H -3.741 -2.586 1.730  0.36
H 4.908 0.423 -1.345  0.47

lowest unoccupied orbital energy = 0.631 eV
SMILES = Brc1cccc(OCCOCCn2ccnc2)c1
HOMO energy = -0.32807 Ha
frontier orbital gap = 9.6 eV
max |F| = 0.78 eV/Å

***

ORCA calculation (ωB97M-V/def2-TZVPD) on a molecular structure, C13H15Cl16N2NbO2P at a distorted geometry.

Last column: Mulliken charge in e.
Cartesian coordinates (Å):
C -1.527 -4.464 2.273  -1.30
C -0.222 -3.873 1.730  1.03
C 0.861 -4.732 1.637  -0.58
C 2.051 -4.248 1.118  -0.96
C 2.114 -2.922 0.748  -0.18
C 1.067 -2.028 0.866  0.86
C 1.102 -0.562 0.501  -1.30
Nb 2.983 0.594 0.980  -0.01
N 3.717 -0.716 2.381  -0.64
O 2.404 2.136 -0.340  -0.76
C 3.454 2.885 -0.617  0.84
N 4.460 3.386 -0.949  -0.59
P 1.949 1.947 2.986  0.21
O 0.782 1.102 3.477  -0.56
C -0.137 -2.546 1.357  0.02
- - -
**Reply:**
C13H23CrN2O2P | the ωB97M-V functional and the def2-TZVPD basis

The total charge is 0. The expectation value of S² is 6.0638. For the frontier orbital gap (spin up / spin down), the calculation gives 7.0 / 6.6 eV. The LUMO energy (spin up / spin down) comes out at -0.015 / -0.027 Ha. The multiplicity is 5. The energy above the lowest of the compared OMol25 structures with the same formula, charge and spin is 39.70 kcal per mole. The calculation puts the HOMO energy (spin up / spin down) at -7.38 / -7.39 eV.

```
42
C13H23CrN2O2P | OMol25 | the ωB97M-V functional and the def2-TZVPD basis
O -2.4281 -0.8876 1.4711
H 1.9271 -2.7171 -3.7815
C -1.4190 1.3920 -2.1954
H 2.8902 -2.0869 -0.9061
H 1.9589 2.9221 -2.6330
C -0.8998 2.6959 -1.6380
C 1.4444 -2.0708 -3.0334
Cr -1.1774 0.7832 0.7152
C -2.1416 1.4040 -3.3946
O -0.7437 -0.3468 2.7022
C -2.5455 0.1949 -3.9396
N 1.1620 -2.8173 -1.8475
C 1.2517 4.0211 -0.2240
H 0.5935 4.4669 0.5396
H -1.3379 -2.1393 -0.2765
H -2.3998 2.3621 -3.8651
H -0.3941 -3.9618 -2.4986
H -0.0813 -3.9956 -0.7501
H -0.6175 3.4433 -2.3928
H 1.1432 1.3381 -2.8189
C -0.1464 -3.3317 -1.6248
H -2.2357 -2.9641 -1.5473
H -3.1451 0.1816 -4.8490
H 0.5276 -1.6826 -3.4820
H 1.2784 4.6798 -1.1057
H 2.8050 -3.8505 -1.0206
C 2.2015 -2.9436 -0.8607
H -1.6053 3.1397 -0.9161
H 2.6175 1.4564 -1.8062
C -1.5433 -1.0122 -2.0520
H 0.6073 0.3472 0.7156
C -1.3474 -2.3377 -1.3496
H 2.1124 -1.2229 -2.8209
C -2.1903 -1.0067 -3.3206
N -1.7448 -1.0857 2.5228
H 0.6009 1.0235 1.1196
H 2.2717 3.9500 0.1870
C 1.7145 1.9741 -2.1385
P 0.6730 2.3466 -0.7031
C -1.2662 0.2242 -1.4286
H 1.7929 -3.0032 0.1642
H -2.4973 -1.9457 -3.7910
```

The net atomic charges from Mulliken, expressed in e, are:
1. O -0.49
2. H 0.32
3. C 0.99
4. H 0.28
5. H 0.35
6. C -1.44
7. C -0.75
8. Cr -0.10
9. C -0.96
10. O -0.52
11. C -0.53
12. N 0.32
13. C -1.20
14. H 0.32
15. H -0.06
16. H 0.41
17. H 0.33
18. H 0.54
19. H 0.45
20. H 0.29
21. C -1.23
22. H 0.44
23. H 0.37
24. H 0.24
25. H 0.36
26. H 0.29
27. C -0.98
28. H 0.42
29. H 0.38
30. C 0.48
31. H 0.00
32. C -0.38
33. H 0.12
34. C -0.48
35. N 0.44
36. H 0.15
37. H 0.37
38. C -1.20
39. P 0.67
40. C 0.23
41. H 0.32
42. H 0.43

* * * * *

ORCA calculation (ωB97M-V/def2-TZVPD) on C13H15BrN2O2 in the gas phase.

Last column: Mulliken charge in e.
Cartesian coordinates (Å):
Br 6.306 1.127 -3.858  -0.20
C 4.489 0.760 -3.426  0.13
C 3.532 0.802 -4.427  -0.48
C 2.220 0.533 -4.088  -0.73
C 1.860 0.229 -2.785  -0.45
C 2.832 0.187 -1.790  0.80
O 2.620 -0.117 -0.480  -0.42
C 1.315 -0.390 -0.028  -0.72
C 0.485 0.898 0.152  -0.42
O -0.900 0.659 0.189  -0.33
C -1.363 0.046 1.371  -0.16
C -2.897 0.070 1.334  -0.94
N -3.455 -0.603 2.470  0.22
C -3.660 -0.071 3.714  -0.20
C -4.130 -1.091 4.488  -0.48
N -4.210 -2.232 3.754  -0.64
C -3.798 -1.912 2.561  -0.01
C 4.161 0.459 -2.122  -0.56
H 3.809 1.040 -5.441  0.41
H 1.458 0.562 -4.852  0.36
H 0.823 0.030 -2.565  0.40
H 1.456 -0.895 0.931  0.38
H 0.789 -1.070 -0.709  0.40
H 0.817 1.427 1.056  0.32
H 0.642 1.552 -0.710  0.46
H -0.997 0.590 2.254  0.30
H -1.016 -0.996 1.441  0.31
H -3.237 1.109 1.314  0.29
H -3.232 -0.423 0.419  0.32
H -3.471 0.960 3.928  0.38
H -4.417 -1.079 5.520  0.40
H -3.741 -2.586 1.730  0.36
H 4.908 0.423 -1.345  0.47

lowest unoccupied orbital energy = 0.631 eV
SMILES = Brc1cccc(OCCOCCn2ccnc2)c1
HOMO energy = -0.32807 Ha
frontier orbital gap = 9.6 eV
max |F| = 0.78 eV/Å

***

ORCA calculation (ωB97M-V/def2-TZVPD) on a molecular structure, C13H15Cl16N2NbO2P at a distorted geometry.

Last column: Mulliken charge in e.
Cartesian coordinates (Å):
C -1.527 -4.464 2.273  -1.30
C -0.222 -3.873 1.730  1.03
C 0.861 -4.732 1.637  -0.58
C 2.051 -4.248 1.118  -0.96
C 2.114 -2.922 0.748  -0.18
C 1.067 -2.028 0.866  0.86
C 1.102 -0.562 0.501  -1.30
Nb 2.983 0.594 0.980  -0.01
N 3.717 -0.716 2.381  -0.64
O 2.404 2.136 -0.340  -0.76
C 3.454 2.885 -0.617  0.84
N 4.460 3.386 -0.949  -0.59
P 1.949 1.947 2.986  0.21
O 0.782 1.102 3.477  -0.56
C -0.137 -2.546 1.357  0.02